Ever since 31 January 2020, when the United Kingdom of Great Britain and Northern Ireland left the EU, British citizens have continued to be able to reside in Denmark under EU free movement rules. This no longer applies as the transitional period under the Withdrawal Agreement between the UK and the other EU Member States expired on 31 December 2020.
What does this mean for the british nationals living here and their family members, and what does it take to preserve their residence rights and continue with the life that has up till now been established here in Denmark?
I would like to clarify this, as I am getting more and more inquiries on the same topic.
In November and December 2020, The Danish Agency for International Recruitment and Integration issued letters to the resident British nationals and to family members of resident British nationals that they must apply for a new residence card during 2021 as proof of their new residence status in Denmark because of BREXIT. In other words, today British citizens living in Denmark will be able to retain all of their rights, as they have previously been accustomed to under EU rules.
The new residence card retains the right to continue living in Denmark under the same conditions as EU citizens. Thinking closely about it, it may seem somewhat alienating to British citizens – who up until now have been accustomed to living under exactly the same conditions as us Danish citizens enjoy – that suddenly they have to think about sending an official application to the authorities in order to have the right to reside in Denmark which remains an EU country.
Nevertheless, BREXIT means that British citizens who did not have a legal residence in Denmark and who did not exercise their right to free movement before 31 December 2020 must apply for a residence permit as third-country nationals – under the rules of the Danish Immigration Act – with The Danish Agency for International Recruitment and Integration (SIRI) or the Danish Immigration Service if they wish to reside in Denmark after 31 December 2020.

The basis for residence – on what basis should you apply?
The requirements for documentation when submitting an application for a new residence document correspond to the requirements of the rules on freedom of movement under EU law – i.e. you have to be able to prove 1) that you are entitled to stay in Denmark as a worker, student, person with sufficient means, etc., and be able to prove 2) that you have taken up residence in Denmark before the end of the transitional period on 31 December 2020.
Therefore, there are several different options for applying for a residence card, which is why it is important to familiarize yourself with the conditions set out in the Withdrawal Agreement if you wish to stay in Denmark as either an employee, a student, a cross-border worker or self-employed person, or if you are simply a person with sufficient means to support yourself, for example if you are a retiree. Also, special rules apply if, as a resident British citizen, you receive public benefits from the Danish government, as there is a requirement that you must be able to support yourself and your resident family. If you are dependent on a family member, partner or similar, you can also apply for a residence document as a person with sufficient resources under the Withdrawal Agreement. In this case, it is the provider who must be able to prove that he or she has the means to be the provider on him- or herself, the applicant and any children or others to whom the provider may have an obligation to.
British workers can apply for a new residence card
If you have paid work in Denmark, for example, you can apply for a new residence card on the basis of this. Provided that all the conditions relating to, among other things, the requirement to carry out actual and real work here, a temporary residence card is issuedfor a period of 5 years. Similarly, cross-border workers who worked in Denmark before 31 December 2020 without living in here must apply for a cross-border residence card valid for 5 years.
The following is a quantum chemistry calculation of the molecule C20H28N2O5, from OMol25.

```
55
Properties=species:S:1:pos:R:3
C -0.53 -4.90 -1.02
H -0.62 -5.97 -1.18
H 0.52 -4.62 -1.07
C -1.13 -4.52 0.33
N -1.05 -3.09 0.57
C 0.13 -2.56 0.99
C 0.30 -1.24 1.24
C -0.82 -0.35 1.03
C -0.73 1.03 1.25
C -1.80 1.85 0.98
C -3.01 1.30 0.48
C -3.10 -0.05 0.28
C -2.01 -0.90 0.55
C -2.17 -2.32 0.30
O -3.19 -2.84 -0.12
H -4.00 -0.52 -0.08
O -4.00 2.20 0.24
C -5.24 1.71 -0.22
H -5.69 1.02 0.50
H -5.14 1.22 -1.19
H -5.88 2.59 -0.33
O -1.79 3.20 1.14
C -0.61 3.80 1.62
H -0.37 3.45 2.63
H 0.24 3.61 0.96
H -0.82 4.87 1.65
H 0.19 1.42 1.64
C 1.62 -0.71 1.68
O 1.78 0.01 2.65
N 2.65 -1.14 0.91
H 2.42 -1.57 0.03
C 3.96 -0.54 1.00
C 4.18 0.53 -0.08
C 3.12 1.64 0.00
O 1.85 1.22 -0.44
C 1.58 1.35 -1.83
C 0.63 0.23 -2.23
H 0.37 0.32 -3.28
H 1.10 -0.74 -2.07
H -0.27 0.28 -1.63
C 0.95 2.72 -2.12
H 0.78 2.84 -3.19
H 1.60 3.52 -1.78
H 0.00 2.80 -1.60
H 2.52 1.26 -2.40
H 2.98 1.94 1.05
H 3.45 2.52 -0.57
H 5.16 0.97 0.06
H 4.14 0.07 -1.07
H 4.72 -1.32 0.91
H 4.02 -0.09 1.99
H 0.93 -3.27 1.15
H -2.19 -4.78 0.35
H -0.61 -5.05 1.14
H -1.07 -4.38 -1.82
```

Summary:
HOMO   -7.68 eV
Total charge   0
Orbital gap   0.307 Ha
SMILES   CCn1cc(C(=O)NCCCOC(C)C)c2cc(OC)c(OC)cc2c1=O

=====

The following is a quantum chemistry calculation of a structure of composition C20H28N2SiZn, from OMol25.

```
52
Properties=species:S:1:pos:R:3
C 1.29 -0.48 -1.52
C 1.36 0.93 -1.36
C 1.92 1.20 -0.07
H 1.07 1.68 -2.11
C 2.27 -0.06 0.52
C 1.84 -1.10 -0.34
H 1.90 -2.18 -0.15
H 0.81 -1.01 -2.35
H 1.91 2.19 0.41
H 2.75 -0.19 1.50
Zn -1.58 1.04 2.49
C -2.39 2.35 1.32
H -1.76 2.88 2.05
H -3.22 1.62 1.34
H -2.90 3.18 0.78
Si -1.88 2.25 -1.69
C -3.64 1.59 -1.88
C -3.84 1.28 -3.26
H -2.96 1.22 -3.95
C -5.16 1.14 -3.76
H -5.36 0.93 -4.82
C -6.25 1.33 -2.89
H -7.28 1.28 -3.23
C -6.02 1.54 -1.52
H -6.86 1.68 -0.85
C -4.74 1.63 -0.97
H -4.71 1.83 0.11
C -1.33 4.03 -1.63
C -1.74 4.76 -2.76
H -2.77 4.64 -3.11
C -0.84 5.63 -3.39
H -1.16 6.09 -4.31
C 0.41 5.93 -2.84
H 1.16 6.53 -3.38
C 0.66 5.43 -1.55
H 1.54 5.76 -1.00
C -0.23 4.56 -0.91
H -0.17 4.38 0.17
H -1.43 1.26 -0.64
H -1.28 1.87 -2.88
N 0.27 0.23 3.04
C 0.33 -1.33 2.93
C -1.06 -1.78 2.57
N -1.60 -0.84 1.54
H 0.30 0.50 4.03
H 1.14 0.60 2.57
H 1.06 -1.57 2.13
H 0.62 -1.72 3.92
H -1.07 -2.73 2.07
H -1.72 -1.78 3.44
H -0.87 -0.74 0.80
H -2.45 -1.14 1.03
```

Summary:
HOMO   -5.88 eV
Total charge   0
Orbital gap   0.164 Ha

=====

The following is a quantum chemistry calculation of a structure of composition C20H28N6P2Sn, from OMol25.

```
57
Properties=species:S:1:pos:R:3
C -1.63 2.82 -2.91
C -1.25 1.52 -2.61
C 0.06 1.12 -3.01
C 1.15 2.13 -3.14
C 0.72 3.48 -3.05
C -0.64 3.79 -3.13
C 2.42 1.59 -3.18
C 2.75 0.29 -2.88
C 1.58 -0.64 -2.82
C 1.73 -1.93 -2.23
C 3.00 -2.49 -2.21
C 4.12 -1.68 -2.36
C 4.00 -0.30 -2.51
H -2.68 3.06 -2.90
H 1.38 4.28 -2.71
H -0.98 4.83 -3.19
H 3.27 2.33 -3.19
H 3.09 -3.56 -2.00
H 5.10 -2.15 -2.19
H 4.84 0.31 -2.15
N 0.35 -0.19 -3.04

Permanent residence permit – the right to live permanently in Denmark
If, as a resident British national, you have already obtained the right to permanent (unlimited) residence in Denmark either under the EU or the Danish rules, a new residence document granting the right of permanent residence under the Withdrawal Agreement muststill be applied for. Da previously valid permanent residence card will only be exchanged with a new residence card for permanent residence in Denmark.
Only after 5 years of residence in Denmark, British citizens can apply for a permanent (unlimited) residence permit. Only then, the requirements for the residence requirement are relieved, which means that resident British nationals will not lose their right of residence in Denmark if, for example, they cease to work, study, self-employment and more. It is important to note that the right to permanently residence in Denmark may, however, be at risk of being waived if, for example, you leave Denmark for more than 5 years.
The time of application – when can you apply?
You can apply for a new residence document under the Withdrawal Agreement from 1 January 2021 and the application must be submitted by 31 December 2021 to the Danish Agency for International Recruitment and Integration (SIRI). SIRI has laid out a plan for the receipt of all applications in order to meet the 2 months of processing deadline. According to SIRI’s advice, it is one’s year of birth that determines when you and possibly your family members should apply for new residence status during 2021. No fees are charged in connection with the application.
As many different scenarios of cases where one’s life may have evolved in different directions since one first moved to Denmark, just as many different options, questions and answers exist for exactly what applies to the situation of each resident British citizen or her/his family members.
Undoubtedly, it is important to consult with either the authorities or an immigration and EU legal adviser who can guide you through the entire application process, so that you do not apply in unsuccessfully at the risk of getting a rejection on grounds that the new residence card has either been applied for on the wrong basis or that the required conditions are not met at all.
[Records of molecules that have nothing to do with the entry]
- - -
{
  "formula": "C10H35FeO8",
  "method": "ωB97M-V/def2-TZVPD",
  "e_above_lowest_kcal_mol": 0.00,
  "spin_multiplicity": 5,
  "homo_ev": [-12.0397, -12.0395],
  "homo_lumo_gap_ev": [6.86, 6.76],
  "charge": 1,
  "s2": 6.0079,
  "total_energy_ev": -61695.0527,
  "species": ["Fe", "C", "C", "O", "H", "H", "H", "H", "H", "C", "C", "O", "H", "H", "H", "H", "H", "H", "C", "C", "O", "H", "H", "H", "H", "H", "H", "C", "C", "O", "H", "H", "H", "H", "H", "H", "C", "C", "O", "H", "H", "H", "H", "H", "H", "O", "H", "H", "O", "H", "H", "O", "H", "H"],
  "positions_angstrom": [[-0.00968, 2.12066, -2.59729], [-1.16631, 0.46644, 0.52001], [-0.03997, -0.12764, -0.28566], [0.54352, 0.76703, -1.10967], [-1.54697, -0.19195, 1.30085], [-1.93337, 0.67638, -0.22540], [-0.83782, 1.35103, 1.06563], [-0.38739, -0.99554, -0.84614], [0.68218, -0.59497, 0.38382], [3.72721, -0.35492, -1.95496], [4.86885, 0.36115, -2.59713], [4.45741, 1.39800, -3.49513], [4.19590, -1.27590, -1.60822], [2.98823, -0.63837, -2.70439], [3.17616, 0.19029, -1.18867], [5.59941, -0.26530, -3.10893], [5.44861, 0.87929, -1.83326], [4.57986, 2.25587, -3.08201], [-1.60108, -2.43103, 3.40959], [-2.30703, -2.56803, 4.72927], [-3.61929, -3.10241, 4.47495], [-1.13111, -1.44890, 3.46108], [-2.33245, -2.34375, 2.60610], [-0.95352, -3.27392, 3.16811], [-2.41990, -1.65462, 5.31324], [-1.75551, -3.21344, 5.41291], [-3.57652, -4.04744, 4.31163], [-3.43602, -1.29967, -1.89352], [-2.70043, -2.22401, -2.86444], [-2.60003, -1.59182, -4.15018], [-3.08374, -0.28933, -2.10137], [-2.94301, -1.44654, -0.93254], [-4.52396, -1.35256, -1.85267], [-3.25138, -3.16126, -2.94266], [-1.66738, -2.38559, -2.55655], [-3.37286, -1.92107, -4.61488], [1.45456, 2.45652, 3.17251], [1.59409, 3.21213, 1.87926], [2.02694, 2.43347, 0.71160], [0.70054, 3.00282, 3.73917], [2.37474, 2.48290, 3.75619], [0.94461, 1.51161, 2.98491], [2.21685, 4.10033, 1.98590], [0.57602, 3.46479, 1.58293], [1.37407, 1.80616, 0.39246], [0.59902, -4.04190, -0.55491], [0.27029, -3.18071, -0.81284], [-0.16679, -4.49548, -0.20272], [1.15887, 3.64432, -1.75970], [1.45313, 4.47868, -2.12506], [1.83277, 3.41090, -1.12125], [-1.56213, 2.96626, -1.30156], [-1.52896, 3.86336, -0.96938], [-2.38925, 2.61765, -0.96904]]
}

---

{
  "formula": "C3H5NO2",
  "method": "ωB97M-V/def2-TZVPD",
  "e_above_lowest_kcal_mol": 35.84,
  "spin_multiplicity": 1,
  "homo_ev": -10.1918,
  "homo_lumo_gap_ev": 11.00,
  "total_energy_ev": -8776.1405,
  "species": ["N", "C", "O", "C", "C", "O", "H", "H", "H", "H", "H"],
  "positions_angstrom": [[2.10156, 0.92751, 0.83346], [0.96572, 0.69665, 0.35248], [-0.22373, 1.24824, 0.66251], [-1.22187, 0.33824, 0.16318], [-0.41224, -0.92591, -0.06830], [0.79141, -0.34501, -0.52869], [2.57054, 0.13692, 0.38597], [-1.60083, 0.72135, -0.78659], [-2.01800, 0.24174, 0.89920], [-0.20471, -1.45737, 0.87279], [-0.79640, -1.61136, -0.81980]]
}

---

{
  "formula": "C48H39BrCl6EuN2O2P2SbSe4",
  "method": "ωB97M-V/def2-TZVPD",
  "e_above_lowest_kcal_mol": 0.00,
- - -
Do you have any questions about BREXIT?
Please feel free to contact me for any questions by email to kontakt@legalmasteradvisor.com or by phone +45 53 89 53 10 or send me your request via the contact form on www.LegalMasterAdvisor.com.
You can download the notice implementing certain provisions of the Withdrawal Agreement between the United Kingdom and the EU with regard to the right to travel, stay and work in Denmark here (“BEK No 1700 of 23/11/2020”) – in Danish: